ELIF的那些事 - 含镜下融合
**The page is interrupted by data records**
Simulated XRD peak list
Compound: Tb2YInN4
Radiation: Cu Kα (weighted mean of Kα1 and Kα2)
Structure: a structure optimized by DFT (PBE)
Lines closer than 0.1° are merged.

Cell and atoms:
Cell: 5.9953 3.4657 6.0070 Å, 90.00 110.53 90.00°
Space group P2/m (No. 10)
Symmetry-distinct sites (fractional):
Tb (0.0000, 0.0000, 0.0000) [1 per cell]
Tb (0.0000, 0.5000, 0.5000) [1 per cell]
Y (0.5000, 0.0000, 0.5000) [1 per cell]
In (0.5000, 0.5000, 0.0000) [1 per cell]
N (0.2441, 0.5000, 0.2570) [2 per cell]
N (0.2518, 0.0000, 0.7512) [2 per cell]

Main lines, low angle first (2θ from 10° to 90°):
| h k l | 2θ (°) | I/Imax |
| --- | --- | --- |
| 1 1 -1 | 31.6 | 100 |
| 2 0 0 | 31.8 | 98 |
| 2 0 -2 | 36.4 | 52 |
| 1 1 1 | 36.9 | 100 |
| 0 2 0 | 52.8 | 85 |
| 2 0 2 | 53.6 | 16 |
| 3 1 -3 | 62.5 | 15 |
| 2 2 0 | 63.0 | 29 |
| 3 1 1 | 63.5 | 28 |
| 2 2 -2 | 65.9 | 17 |

----------

# Y2Mn2O7
Computed powder diffractogram, CuKα. Input: a DFT-relaxed cell (GGA+U, Alexandria).
Kinematic intensities with the Lorentz-polarization factor, no thermal factor.

Main lines, by angle (2θ = 15–90°):
2θ/deg, I_rel
30.80, 100
35.72, 22
39.05, 10
51.40, 51
61.14, 38
64.17, 8
83.88, 15
86.59, 11

Lattice parameters (Å, degrees): 7.1102 7.1102 7.1102 60.00 60.00 60.00
Positions (direct):
Y (0.0000, 0.0000, 0.0000)
Y (0.0000, 0.0000, 0.5000)
Y (0.0000, 0.5000, 0.0000)
Y (0.5000, 0.0000, 0.0000)
Mn (0.0000, 0.5000, 0.5000)
Mn (0.5000, 0.0000, 0.5000)
Mn (0.5000, 0.5000, 0.0000)
Mn (0.5000, 0.5000, 0.5000)
O (0.1250, 0.1250, 0.1250)
O (0.1701, 0.1701, 0.5799)
O (0.1701, 0.5799, 0.1701)
O (0.1701, 0.5799, 0.5799)
O (0.4201, 0.4201, 0.8299)
O (0.4201, 0.8299, 0.4201)
O (0.4201, 0.8299, 0.8299)
O (0.5799, 0.1701, 0.1701)
O (0.5799, 0.1701, 0.5799)
O (0.5799, 0.5799, 0.1701)
O (0.8299, 0.4201, 0.4201)
O (0.8299, 0.4201, 0.8299)
O (0.8299, 0.8299, 0.4201)
O (0.8750, 0.8750, 0.8750)

----------

# 1
Diffraction record for HoCd11Ga. The powder XRD pattern is calculated, not measured: it uses a crystal structure in Alexandria, relaxed with PBE and Cu Kα (weighted mean of Kα1 and Kα2).
Peak positions follow from Bragg's law for the DFT cell and can differ from measured ones.

Principal peaks in the range 2θ from 10° to 90°, by angle:
two_theta	d/Å	I (rel.)	h k l
30.8	2.899	26	1 3 1
31.0	2.881	35	1 3 -2
35.3	2.542	45	2 2 0
35.5	2.526	42	2 2 -2
35.9	2.504	100	1 1 2
36.1	2.486	95	0 4 2
39.9	2.261	34	2 4 -1
64.7	1.440	25	2 6 -4

Atomic structure:
a = 5.889 Å, b = 14.114 Å, c = 7.579 Å
α = 90.00°, β = 112.27°, γ = 90.00°
Space group C2/m (No. 12)
Unique sites:
Ho 0.000 0.000 0.000 (multiplicity 2)
Cd 0.000 0.000 0.500 (multiplicity 2)
Cd 0.105 0.395 0.212 (multiplicity 8)
Cd 0.180 0.174 0.353 (multiplicity 8)
Cd 0.250 0.250 0.000 (multiplicity 4)
Ga 0.000 0.500 0.500 (multiplicity 2)

# 2
Diffraction record for CdGaI3. The powder XRD pattern is calculated, not measured: it uses a crystal structure in Alexandria, relaxed with PBE and Cu Kα (weighted mean of Kα1 and Kα2).
ELIF,即椎间孔外腰椎椎体间融合技术(extraforaminal lumbar interbody fusion),代表人物:同济大学附属东方医院谭军教授、法国的Didier Recoules-Arche教授,韩国的Seok Won Kim教授。
MIS-TLIF需切除下关节突和部分上关节突,而实际下关节突在多数情况下并不构成致压因素,只是为了获取视野和操作空间,成为入路上的“无辜牺牲品”。而ELIF则较MIS-TILF倾斜角度更大,约45°,绕过下关节突,直接暴露并切除导致神经症状的部分上关节突,在安全三角(Kambin triangle)内,对侧方椎管进行减压,完成椎间融合,从而实现更微创的入路。
相较MIS-TLIF,也有学者采用ELIF C型融合器,可同时置入2枚,接触面积更大,融合率更高。
一、通道下的ELIF,即MIS-ELIF,采用的也是C形融合器,代表人物:阿根廷的Federico Landriel教授。
1、PE-TLIF ,即 Percutaneous endoscopic transforaminal lumbar interbody fusion,翻译为:经皮内镜辅助下经椎间孔腰椎减压融合术,采用高度可调钛金属椎间融合器,代表人物:北京朝阳医院杨晋才教授。
These materials data were left in the piece by mistake =
Theoretical powder diffraction line list of MgMn2P2H4O10 for a wavelength of 1.5418 Å, from a DFT-relaxed cell (PBE+U, Alexandria).

Structure:
Cell: 5.3346 5.5987 7.7974 Å, 102.64 108.50 99.56°
Atoms (fractional coordinates):
Mg  0.0000  0.0000  0.0000
Mn  0.4187  0.6665  0.1254
Mn  0.9009  0.1123  0.5877
P  0.3317  0.2395  0.3706
P  0.5178  0.1154  0.8995
H  0.7839  0.5765  0.4164
H  0.8099  0.5194  0.9331
H  0.9010  0.5738  0.7613
H  0.9767  0.7588  0.3401
O  0.1970  0.3021  0.5140
O  0.2024  0.0229  0.8120
O  0.2288  0.3522  0.2005
O  0.2405  0.9439  0.2661
O  0.5961  0.4086  0.9827
O  0.6293  0.9806  0.0532
O  0.6490  0.3373  0.4681
O  0.6775  0.0494  0.7674
O  0.8176  0.7416  0.3810
O  0.9697  0.6164  0.8997

Largest 8 diffraction maxima, by angle, 10 to 90 degrees two-theta:
Position (°2θ), d (Å), intensity
16.8, 5.283, 95
17.8, 4.973, 68
23.8, 3.744, 100
25.7, 3.469, 99
28.7, 3.106, 98
31.8, 2.813, 57
34.6, 2.589, 77
35.5, 2.530, 37

=====

Ca2LaCo: simulated powder XRD pattern (copper Kα), based on DFT lattice parameters and positions (PBE).

```
Ca2LaCo
1.0
3.9383 0.0000 0.0000
0.0000 16.8986 0.0000
0.0000 0.0000 3.9376
Ca La Co
4 2 2
Direct
0.0000 0.0809 0.0000
0.0000 0.7522 0.0008
0.5000 0.2478 0.5008
0.5000 0.9191 0.5000
0.0000 0.4178 0.0023
0.5000 0.5822 0.5023
0.0000 0.5911 0.0026
0.5000 0.4089 0.5026
```

The 8 most intense peaks (10 to 80 degrees two-theta), in order of rising 2θ:
2θ 10.47, intensity 48, hkl 0 2 0
2θ 27.64, intensity 94, hkl 1 3 0
2θ 31.77, intensity 50, hkl 0 6 0
2θ 32.15, intensity 100, hkl 1 0 1
2θ 32.59, intensity 43, hkl 1 1 1
2θ 45.82, intensity 70, hkl 1 6 1
2θ 46.10, intensity 35, hkl 2 0 0
2θ 57.07, intensity 35, hkl 2 6 0
Back to the piece =
图示:经皮内镜辅助下经椎间孔腰椎减压融合术式术中操作:A-C:在上关节突导向器引导下,经皮穿刺第二导钉至上关节突背外侧并打入关节突骨质内,注意不要穿透进入椎管;D-F:冠状位上,铰刀应达对侧椎体宽度的3/4(D);矢状位上,应达腹侧的3/4(E);镜下再次确认骨性终板充分暴露,椎间盘处理良好(F);G -I:可撑开融合器置入时,冠状位达到椎体宽度的3/4(G);矢状位达到椎体前后径的 3/ 4(H);镜下可见可撑开融合器位置良好,神经根已经充分显露并彻底减压(I)。
2、PELIF,即 Percutaneous endoscopic lumbar interbody fusion,采用的是 PELIF O-Cage (Joimax GmbH, Germany),且应用的是TESSYS working tube,代表人物:新桥医院周跃教授、日本的Shu Nakamura教授。
图示:(a) Percutaneous transforaminal puncture into disk afer percutaneous pedicle screw fxation. (b) Sequential dilation. (c) Optional foraminoplasty and expansion of the safety triangle by bone drill under endoscopic views. (d) Neurological decompression and initial endplate preparation in endoscopic view. (e) and (f) Working tube insertion in anteroposterior and lateral X-ray views.
图示:(a) and (b) Performing the dilation with the PELIF dilators until the desired diameter of the working tube. (c) and (d) Further removing intervertebral disc tissues and adequately endplate preparation. (e) and (f) Utilizing the guide wire to ease the cage placement under X-ray control. (g) and (h) Identifcation of the implant position by anteroposterior and lateral views.
3、FELIF,Full endoscopic lumbar interbody fusion,采用PEEK TLIF cage,且应用的是EndoLIF system (Joimax, Germany),代表人物:韩国Jong Ki Shin教授。
图示: a Once the joint is identifed via endoscopic view, osteotomy of superior articular process is performed using endoscopic osteotome. b After partial osteotomy of superior articular process, dura and disc are seen. c Drawing of partial resection area on sawbone. d After the partial resection of superior articular process on sawbone.
图示:a Epiduroscopic visualization of dura and disc closely. b Endoscope is engaged in dorsal side of disc under fuoroscopic view. c Axial demonstrated image.
图示:a, b Custom-made endoscopic reamer is inserted to disc space under endoscopic and fuoroscopic guidance. c Axial demonstrated image.
图示:Axial demonstrated image: the PEEK TLIF cage was mounted on the cage holding rod after the rod was inserted into the working channel.
3、Preint-ELIF, Preint 是 Precision(精准化) 和 Intelligence(智能化)的缩写,其命名的ELIF为:Endoscopy Lumbar Interbody Fusion,国内部分脊柱微创及疼痛科医生在推动,且开展了专门的研讨会。但检索文献,尚无相关技术报道(technical note)及临床效果的文章发表。